'''
{"formula": "C7H21BCoO4", "method": "wB97M-V/def2-TZVPD", "symbols": ["Co", "C", "O", "H", "H", "H", "C", "O", "H", "H", "H", "C", "O", "H", "H", "H", "B", "H", "H", "H", "H", "C", "C", "C", "O", "C", "H", "H", "H", "H", "H", "H", "H", "H"], "xyz": [[20.638, 1.313, -11.213], [20.431, -1.302, -8.941], [20.888, -0.022, -9.349], [20.704, -1.443, -7.895], [19.353, -1.448, -9.019], [20.854, -2.162, -9.460], [20.882, 4.286, -9.813], [20.725, 2.883, -9.610], [21.942, 4.539, -9.802], [20.503, 4.607, -10.783], [20.368, 4.858, -9.040], [17.850, 2.214, -12.408], [18.497, 1.377, -11.511], [18.002, 1.865, -13.429], [16.785, 2.220, -12.175], [18.243, 3.230, -12.391], [22.431, 1.698, -12.384], [22.732, 2.716, -12.193], [23.126, 1.254, -13.079], [22.494, 1.111, -11.480], [21.418, 1.613, -12.746], [20.663, -1.959, -14.782], [19.500, -2.433, -13.961], [19.922, -1.929, -12.629], [20.392, -0.674, -12.946], [20.970, -0.580, -14.304], [20.437, -2.096, -15.839], [21.630, -2.458, -14.725], [19.279, -3.500, -13.913], [18.635, -1.969, -14.434], [20.635, -2.572, -12.112], [19.084, -1.850, -11.937], [22.038, -0.365, -14.287], [20.576, 0.254, -14.886]], "lumo_energy_ev": [7.79, 7.94], "spin_multiplicity": 5, "orbital_gap_ev": [2.4, 6.0], "total_charge": -3, "s2": 6.007}

=====

{"formula": "C28H19BrCaF6N2O6S6", "method": "wB97M-V/def2-TZVPD", "symbols": ["Ca", "S", "C", "C", "C", "C", "C", "C", "S", "C", "C", "C", "C", "C", "C", "C", "S", "C", "C", "C", "C", "C", "C", "S", "N", "H", "H", "H", "H", "H", "H", "H", "H", "H", "H", "H", "H", "H", "H", "H", "F", "C", "F", "F", "S", "O", "O", "N", "S", "O", "O", "C", "F", "F", "F", "Br", "C", "C", "C", "C", "C", "C", "C", "O", "O", "H", "H", "H", "H"], "xyz": [[-0.481, -0.704, -0.223], [0.449, -0.389, 2.874], [-0.924, -1.093, 3.645], [-1.461, -0.513, 4.816], [-2.560, -1.033, 5.464], [-3.201, -2.176, 4.984], [-2.699, -2.774, 3.841], [-1.587, -2.252, 3.184], [-1.072, -3.077, 1.703], [0.498, -3.833, 2.204], [1.759, -3.053, 1.942], [2.749, -2.924, 2.913], [3.912, -2.260, 2.579], [4.073, -1.787, 1.284], [3.051, -2.004, 0.367], [3.204, -1.638, -1.083], [2.166, -0.230, -1.590], [1.734, -0.738, -3.238], [2.261, 0.016, -4.281], [1.960, -0.283, -5.600], [1.125, -1.365, -5.860], [0.600, -2.115, -4.827], [0.865, -1.828, -3.475], [0.160, -2.791, -2.213], [1.912, -2.603, 0.704], [-0.988, 0.388, 5.185], [-2.935, -0.531, 6.349], [-4.074, -2.580, 5.479], [-3.171, -3.660, 3.432], [0.564, -4.748, 1.609], [0.421, -4.124, 3.251], [2.577, -3.291, 3.916], [4.686, -2.102, 3.321], [4.974, -1.270, 0.981], [2.871, -2.492, -1.675], [4.248, -1.416, -1.307], [2.908, 0.851, -4.039], [2.364, 0.320, -6.405], [0.869, -1.621, -6.883], [-0.065, -2.942, -5.041], [-3.229, 0.521, -4.513], [-3.217, -0.371, -3.515], [-4.476, -0.748, -3.274], [-2.525, -1.431, -3.911], [-2.492, 0.385, -1.994], [-1.090, 0.539, -2.285], [-2.710, -0.609, -0.958], [-3.211, 1.707, -1.854], [-4.565, 2.098, -1.141], [-5.658, 2.063, -2.071], [-4.738, 1.534, 0.157], [-4.261, 3.934, -0.879], [-3.063, 4.336, -1.255], [-5.158, 4.618, -1.620], [-4.473, 4.254, 0.386], [2.446, 6.896, 0.165], [2.180, 5.031, 0.505], [3.289, 4.232, 0.722], [3.086, 2.882, 0.971], [1.804, 2.354, 0.985], [0.702, 3.171, 0.764], [0.893, 4.529, 0.533], [-0.723, 2.612, 0.777], [-1.626, 3.393, 1.076], [-0.812, 1.378, 0.520], [4.285, 4.654, 0.697], [3.939, 2.239, 1.151], [1.635, 1.304, 1.184], [0.026, 5.159, 0.388]], "lumo_energy_ev": 3.93, "orbital_gap_ev": 6.0, "total_charge": -2, "relative_energy_kj_mol": 107.96}

=====
'''

Could you count the lines further up that contain the word "orbital_gap_ev" and give the number alone?

2